**Activity:**
Now retype everything below exactly.
**Data:**
~~~
[1]
Here is a cluster of 6 separate species, C22H50FN5O11P2 in total at a distorted geometry from OMol25. Energies are from wB97M-V/def2-TZVPD.

Structure (XYZ):
```
91
Properties=species:S:1:pos:R:3:mulliken_charge:R:1
C -0.1508 -2.5915 -2.0225 -1.078
C -0.7975 -1.4727 -2.8812 -0.585
C -1.7166 -0.5068 -2.0987 0.024
F -1.9678 -0.9049 -0.8087 -0.254
C -1.1670 0.9585 -2.1061 1.014
C -2.2633 1.8937 -2.6856 -1.167
P -2.1666 2.1321 -4.5104 1.003
O -3.2628 1.4972 -5.2030 -0.688
O -2.2429 3.7273 -4.8690 -0.561
O -0.7426 1.6166 -5.1252 -0.508
O -0.7475 1.3441 -0.7941 -0.375
C 0.0020 2.5105 -0.8961 0.607
O -0.4824 3.5153 -0.5700 -0.485
P 1.7776 2.5760 -1.5005 0.304
C 2.3705 0.9125 -2.0025 -1.078
O 1.6864 3.4746 -2.9174 -0.569
H -0.0336 -3.4815 -2.6493 0.356
H 0.8557 -2.2619 -1.7464 0.198
H -0.7254 -2.8810 -1.1414 0.244
H 0.0030 -0.9517 -3.4149 0.221
H -1.3929 -1.9560 -3.6640 0.508
H -2.6803 -0.5025 -2.6181 0.440
H -0.2791 1.0215 -2.7494 -0.473
H -3.2809 1.5397 -2.5072 0.301
H -2.2145 2.9080 -2.2623 0.564
H -1.7176 4.2290 -4.2209 0.365
H -0.1804 2.3985 -5.2517 0.322
H 2.3438 0.1886 -1.1826 0.351
H 1.8985 0.5164 -2.9152 0.333
H 3.4307 1.0350 -2.2566 0.447
H 1.1006 2.9874 -3.5180 0.223
C 0.8839 -6.0946 -1.1980 0.066
O 2.0204 -6.2966 -1.5792 -0.612
N 0.4587 -6.2093 0.0764 0.129
C -0.9171 -5.9506 0.4558 -1.039
C 1.4120 -6.6042 1.0987 -0.972
H 0.0831 -5.7905 -1.8940 0.350
H -0.9486 -5.1394 1.1865 0.361
H -1.3493 -6.8502 0.8992 0.381
H -1.5067 -5.6662 -0.4138 0.340
H 2.2277 -5.8809 1.1366 0.312
H 1.8296 -7.5811 0.8511 0.288
H 0.9216 -6.6521 2.0683 0.398
C 4.5820 3.5388 -3.9259 0.413
O 4.8617 3.0166 -2.8612 -0.679
N 5.3852 3.5494 -5.0088 0.103
C 4.9959 4.1897 -6.2494 -0.938
C 6.6815 2.8976 -4.9266 -0.929
H 3.6260 4.0572 -4.0885 0.082
H 4.9821 3.4508 -7.0536 0.345
H 5.7132 4.9754 -6.4961 0.343
H 4.0053 4.6313 -6.1566 0.300
H 6.5453 1.8422 -4.6867 0.287
H 7.2716 3.3574 -4.1328 0.284
H 7.2081 2.9912 -5.8736 0.386
C 4.5363 2.6534 1.7683 0.105
O 3.8379 1.7668 1.3143 -0.552
N 4.1101 3.8861 2.1111 0.160
C 5.0094 4.8862 2.6495 -0.946
C 2.7068 4.2214 1.9354 -0.705
H 5.6162 2.5091 1.9429 0.285
H 4.6713 5.1837 3.6448 0.331
H 5.0158 5.7611 1.9958 0.336
H 6.0209 4.4911 2.7224 0.301
H 2.0950 3.5345 2.5232 0.286
H 2.4390 4.1125 0.8850 0.028
H 2.5199 5.2437 2.2567 0.382
C -5.2057 -1.7205 2.3784 -0.009
O -4.9628 -2.4756 1.4583 -0.572
N -4.4090 -0.7092 2.7834 0.245
C -4.7642 0.1512 3.8933 -0.987
C -3.1552 -0.4787 2.0818 -1.041
H -6.1307 -1.8077 2.9773 0.313
H -4.8273 1.1842 3.5445 0.386
H -3.9929 0.0761 4.6642 0.356
H -5.7238 -0.1416 4.3166 0.281
H -3.3581 -0.2755 1.0319 0.273
H -2.5344 -1.3734 2.1463 0.278
H -2.6276 0.3645 2.5217 0.489
C -3.9304 -3.3804 8.1762 0.112
O -2.8198 -3.8372 8.3562 -0.575
N -4.3904 -2.9069 6.9981 0.139
C -5.7298 -2.3744 6.8525 -0.755
C -3.5103 -2.9351 5.8423 -0.858
H -4.6747 -3.3145 8.9891 0.264
H -6.2762 -2.9572 6.1070 0.296
H -5.6757 -1.3333 6.5257 0.219
H -6.2646 -2.4206 7.7993 0.300
H -3.2125 -3.9644 5.6392 0.352
H -2.6148 -2.3494 6.0570 0.291
H -4.0169 -2.5236 4.9715 0.190
```

## Properties
F_max: 3.4 eV/Å
SMILES: CC[C@@H](F)[C@@H](CP(=O)(O)O)OC(=O)P(C)O.CN(C)C=O.CN(C)C=O.CN(C)C=O.CN(C)C=O.CN(C)C=O
Highest occupied orbital energy: -8.81 eV
Kohn-Sham gap: 8.51 eV



[2]
Here is a structure of composition C22H50IrN3OP3 at a distorted geometry from OMol25. Energies are from wB97M-V/def2-TZVPD.

Structure (XYZ):
```
80
Properties=species:S:1:pos:R:3:lowdin_spin:R:1
Ir -0.1433 -0.4686 0.0886 1.004
P 1.8525 0.4007 0.9668 0.153
P -1.2758 1.4934 -0.3248 0.150
P 0.6595 -0.4498 -2.0036 0.035
H -1.2411 -2.8135 1.9782 0.021
C -1.0904 -3.8809 1.9758 0.423
C -0.1099 -4.3978 2.7272 0.410
H 0.3957 -3.8565 3.5145 0.017
C 2.0146 0.4521 2.7995 0.025
C 2.3069 2.1416 0.5711 0.024
C 3.2580 -0.6544 0.4753 0.033
C -2.8979 1.1941 -1.1250 0.036
C -1.5258 2.3508 1.2889 0.047
C -0.6122 2.8798 -1.3475 0.004
C 1.8065 -1.7040 -2.6992 0.012
C 1.6369 0.9760 -2.7035 -0.001
C -0.7135 -0.6070 -3.2162 0.024
H -1.7786 -4.5224 1.3953 0.015
~~~
**Worked solution:**
[1]
Here is a cluster of 6 separate species, C22H50FN5O11P2 in total at a distorted geometry from OMol25. Energies are from wB97M-V/def2-TZVPD.

Structure (XYZ):
```
91
Properties=species:S:1:pos:R:3:mulliken_charge:R:1
C -0.1508 -2.5915 -2.0225 -1.078
C -0.7975 -1.4727 -2.8812 -0.585
C -1.7166 -0.5068 -2.0987 0.024
F -1.9678 -0.9049 -0.8087 -0.254
C -1.1670 0.9585 -2.1061 1.014
C -2.2633 1.8937 -2.6856 -1.167
P -2.1666 2.1321 -4.5104 1.003
O -3.2628 1.4972 -5.2030 -0.688
O -2.2429 3.7273 -4.8690 -0.561
O -0.7426 1.6166 -5.1252 -0.508
O -0.7475 1.3441 -0.7941 -0.375
C 0.0020 2.5105 -0.8961 0.607
O -0.4824 3.5153 -0.5700 -0.485
P 1.7776 2.5760 -1.5005 0.304
C 2.3705 0.9125 -2.0025 -1.078
O 1.6864 3.4746 -2.9174 -0.569
H -0.0336 -3.4815 -2.6493 0.356
H 0.8557 -2.2619 -1.7464 0.198
H -0.7254 -2.8810 -1.1414 0.244
H 0.0030 -0.9517 -3.4149 0.221
H -1.3929 -1.9560 -3.6640 0.508
H -2.6803 -0.5025 -2.6181 0.440
H -0.2791 1.0215 -2.7494 -0.473
H -3.2809 1.5397 -2.5072 0.301
H -2.2145 2.9080 -2.2623 0.564
H -1.7176 4.2290 -4.2209 0.365
H -0.1804 2.3985 -5.2517 0.322
H 2.3438 0.1886 -1.1826 0.351
H 1.8985 0.5164 -2.9152 0.333
H 3.4307 1.0350 -2.2566 0.447
H 1.1006 2.9874 -3.5180 0.223
C 0.8839 -6.0946 -1.1980 0.066
O 2.0204 -6.2966 -1.5792 -0.612
N 0.4587 -6.2093 0.0764 0.129
C -0.9171 -5.9506 0.4558 -1.039
C 1.4120 -6.6042 1.0987 -0.972
H 0.0831 -5.7905 -1.8940 0.350
H -0.9486 -5.1394 1.1865 0.361
H -1.3493 -6.8502 0.8992 0.381
H -1.5067 -5.6662 -0.4138 0.340
H 2.2277 -5.8809 1.1366 0.312
H 1.8296 -7.5811 0.8511 0.288
H 0.9216 -6.6521 2.0683 0.398
C 4.5820 3.5388 -3.9259 0.413
O 4.8617 3.0166 -2.8612 -0.679
N 5.3852 3.5494 -5.0088 0.103
C 4.9959 4.1897 -6.2494 -0.938
C 6.6815 2.8976 -4.9266 -0.929
H 3.6260 4.0572 -4.0885 0.082
H 4.9821 3.4508 -7.0536 0.345
H 5.7132 4.9754 -6.4961 0.343
H 4.0053 4.6313 -6.1566 0.300
H 6.5453 1.8422 -4.6867 0.287
H 7.2716 3.3574 -4.1328 0.284
H 7.2081 2.9912 -5.8736 0.386
C 4.5363 2.6534 1.7683 0.105
O 3.8379 1.7668 1.3143 -0.552
N 4.1101 3.8861 2.1111 0.160
C 5.0094 4.8862 2.6495 -0.946
C 2.7068 4.2214 1.9354 -0.705
H 5.6162 2.5091 1.9429 0.285
H 4.6713 5.1837 3.6448 0.331
H 5.0158 5.7611 1.9958 0.336
H 6.0209 4.4911 2.7224 0.301
H 2.0950 3.5345 2.5232 0.286
H 2.4390 4.1125 0.8850 0.028
H 2.5199 5.2437 2.2567 0.382
C -5.2057 -1.7205 2.3784 -0.009
O -4.9628 -2.4756 1.4583 -0.572
N -4.4090 -0.7092 2.7834 0.245
C -4.7642 0.1512 3.8933 -0.987
C -3.1552 -0.4787 2.0818 -1.041
H -6.1307 -1.8077 2.9773 0.313
H -4.8273 1.1842 3.5445 0.386
H -3.9929 0.0761 4.6642 0.356
H -5.7238 -0.1416 4.3166 0.281
H -3.3581 -0.2755 1.0319 0.273
H -2.5344 -1.3734 2.1463 0.278
H -2.6276 0.3645 2.5217 0.489
C -3.9304 -3.3804 8.1762 0.112
O -2.8198 -3.8372 8.3562 -0.575
N -4.3904 -2.9069 6.9981 0.139
C -5.7298 -2.3744 6.8525 -0.755
C -3.5103 -2.9351 5.8423 -0.858
H -4.6747 -3.3145 8.9891 0.264
H -6.2762 -2.9572 6.1070 0.296
H -5.6757 -1.3333 6.5257 0.219
H -6.2646 -2.4206 7.7993 0.300
H -3.2125 -3.9644 5.6392 0.352
H -2.6148 -2.3494 6.0570 0.291
H -4.0169 -2.5236 4.9715 0.190
```

## Properties
F_max: 3.4 eV/Å
SMILES: CC[C@@H](F)[C@@H](CP(=O)(O)O)OC(=O)P(C)O.CN(C)C=O.CN(C)C=O.CN(C)C=O.CN(C)C=O.CN(C)C=O
Highest occupied orbital energy: -8.81 eV
Kohn-Sham gap: 8.51 eV



[2]
Here is a structure of composition C22H50IrN3OP3 at a distorted geometry from OMol25. Energies are from wB97M-V/def2-TZVPD.

Structure (XYZ):
```
80
Properties=species:S:1:pos:R:3:lowdin_spin:R:1
Ir -0.1433 -0.4686 0.0886 1.004
P 1.8525 0.4007 0.9668 0.153
P -1.2758 1.4934 -0.3248 0.150
P 0.6595 -0.4498 -2.0036 0.035
H -1.2411 -2.8135 1.9782 0.021
C -1.0904 -3.8809 1.9758 0.423
C -0.1099 -4.3978 2.7272 0.410
H 0.3957 -3.8565 3.5145 0.017
C 2.0146 0.4521 2.7995 0.025
C 2.3069 2.1416 0.5711 0.024
C 3.2580 -0.6544 0.4753 0.033
C -2.8979 1.1941 -1.1250 0.036
C -1.5258 2.3508 1.2889 0.047
C -0.6122 2.8798 -1.3475 0.004
C 1.8065 -1.7040 -2.6992 0.012
C 1.6369 0.9760 -2.7035 -0.001
C -0.7135 -0.6070 -3.2162 0.024
H -1.7786 -4.5224 1.3953 0.015